Baseball: seven batters step up to the plate, inning ends, 0 runs score -- redux

An oldie but goodie:

Seven batters step up to the plate, the inning ends, no runs score. How?

One of Cecil’s correspondents gives a solution:

Question: is this the one and only solution? Another possible way: if Batter #6 is batting out of turn, and hits the grand salami, can’t the opposing team appeal the play and nullify the runs? And wouldn’t the seventh batter still be standing at the plate when the appeal is made?

Unrelated to this piece: records of crystals.
┌──
# 1
This record from the Materials Project database describes crystalline MgB12O24 at its relaxed geometry. The functional is PBE-GGA.

Structure (POSCAR):
```
MgB12O24
1.0
11.818 0.000 0.000
0.000 8.665 0.000
-1.986 0.000 8.602
Mg B O
2 24 48
direct
0.000 0.000 0.000
0.000 0.500 0.500
0.027 0.247 0.262
0.027 0.253 0.762
0.085 0.512 0.201
0.085 0.988 0.701
0.145 0.211 0.562
0.145 0.289 0.062
0.286 0.039 0.144
0.286 0.461 0.644
0.356 0.601 0.893
0.356 0.899 0.393
0.474 0.596 0.710
0.474 0.904 0.210
0.526 0.096 0.790
0.526 0.404 0.290
0.644 0.101 0.607
0.644 0.399 0.107
0.714 0.539 0.356
0.714 0.961 0.856
0.855 0.711 0.938
0.855 0.789 0.438
0.915 0.012 0.299
0.915 0.488 0.799
0.973 0.747 0.238
0.973 0.753 0.738
0.020 0.082 0.779
0.020 0.418 0.279
0.050 0.208 0.111
0.050 0.292 0.611
0.074 0.669 0.208
0.074 0.831 0.708
0.128 0.203 0.390
0.128 0.297 0.890
0.157 0.053 0.616
0.157 0.447 0.116
0.187 0.530 0.539
0.187 0.970 0.039
0.255 0.201 0.109
0.255 0.299 0.609
0.275 0.505 0.802
0.275 0.995 0.302
0.335 0.647 0.034
0.335 0.853 0.534
0.398 0.000 0.114
0.398 0.500 0.614
0.427 0.144 0.832
0.427 0.356 0.332
0.455 0.650 0.852
0.455 0.850 0.352
0.545 0.150 0.648
0.545 0.350 0.148
0.573 0.644 0.668
0.573 0.856 0.168
0.602 0.000 0.886
0.602 0.500 0.386
0.665 0.147 0.466
0.665 0.353 0.966
0.725 0.005 0.698
0.725 0.495 0.198
0.745 0.701 0.391
0.745 0.799 0.891
0.813 0.030 0.961
0.813 0.470 0.461
0.843 0.553 0.884
0.843 0.947 0.384
0.872 0.703 0.110
0.872 0.797 0.610
0.926 0.169 0.292
0.926 0.331 0.792
0.950 0.708 0.389
0.950 0.792 0.889
0.980 0.582 0.721
0.980 0.918 0.221
```

Calculated total energy: -7.162 eV per atom
Spin magnetization: 10.00 μB per formula unit
Energy of formation from the pure elements: -2.19 eV per atom

# 2
This record from the Materials Project database describes crystalline SiI2 at its relaxed geometry. The functional is PBE-GGA.

Structure (POSCAR):
```
SiI2
1.0
11.592 0.000 0.000
0.000 17.017 0.000
-8.598 0.000 14.996
Si I
20 40
direct
0.061 0.185 0.465
0.061 0.315 0.965
0.062 0.174 0.961
0.062 0.326 0.461
0.269 0.146 0.481
0.269 0.354 0.981
0.292 0.135 0.021
0.292 0.365 0.521
0.420 0.246 0.569
0.420 0.254 0.069
0.580 0.746 0.931
0.580 0.754 0.431
0.708 0.635 0.479
0.708 0.865 0.979
0.731 0.646 0.019
0.731 0.854 0.519
0.938 0.674 0.539
0.938 0.826 0.039
0.939 0.685 0.035
0.939 0.815 0.535
0.029 0.620 0.448
0.029 0.880 0.948
0.056 0.141 0.599
0.056 0.359 0.099
0.074 0.629 0.694
0.074 0.871 0.194
0.126 0.628 0.169
0.126 0.872 0.669
0.245 0.155 0.331
0.245 0.345 0.831
0.324 0.075 0.903
0.324 0.425 0.403
0.339 0.013 0.544
0.339 0.487 0.044
0.367 0.043 0.147
0.367 0.457 0.647
0.381 0.749 0.448
0.381 0.751 0.948
0.482 0.220 0.725
0.482 0.280 0.225
0.518 0.720 0.775
0.518 0.780 0.275
0.619 0.249 0.052
0.619 0.251 0.552
0.633 0.543 0.353
0.633 0.957 0.853
0.661 0.513 0.956
0.661 0.987 0.456
0.676 0.575 0.597
0.676 0.925 0.097
0.755 0.655 0.169
0.755 0.845 0.669
0.874 0.128 0.331
0.874 0.372 0.831
0.926 0.129 0.806
0.926 0.371 0.306
└──

ISTM that before 1984, a “pine-tar” appeal would also do the trick. I know the rule was changed subsequently to George Brett’s famous incident so that the opposing team had to have the bat checked before or during the at-bat – not after – or the results of the at-bat stood.

It’s almost happened. A couple of weeks ago, the Red Sox *ended * a scoreless inning with 5 consecutive singles. The last 2 outs were at the plate.

Wouldn’t another way be if a batter in the middle of his at-bat fouled a ball off his foot in such a way he injured himself and couldn’t continue the at-bat, so someone else is brought in?

I didn’t make it clear in the OP … but in Cecil’s column, no substitutions of any kind were allowed. Not due to injury, not due to ejection, etc.

Not sure I understand this. Wouldn’t a force out at home mean it wasn’t a single?

He didn’t say the last two outs were singles AND plays at the plate.

Three consecutive singles loads the bases. Fourth guy grounds into a force at home but still reaches. Fifth guy does the same. That’s five hits and two outs.
The last batter also grounds out and a play at home ends the inning (probably a bunt attempt with the pitcher fielding).
That is just one way it could happen.

In retrospect, he kinda did say that the inning was ended with a single.
Waiting for further review…

Easy !!!
Four batters from the visiting team step up to the plate at the top of the inning. First batter hits a single and the next three strike out.
Then at the bottom of the inning, 3 batters from the home team strike out.

Total of 7 batters stepping up to the plate for the inning and no runs scored.
I imagine there can be many variations of this, so to answer the OP - sure there is definitely more than one answer to this question.

Granted this is a smart-aleck answer, but I believe it satisfies the exact conditions as stated by the OP.

This reminds me of that really old question that still fools some people - How many outs in an inning ? SIX

What about other grounds for appeal by the defensive team such as: a claim the ball hit a runner, broken bat reveals it was corked, or ?

Cecil’s column also stipulates that the seven batters are from the same team.

This is more to the heart of my question – could any kind of appeal play lead to the seven-batter-zero-runs scenario, or specifically only the failure to touch first on a grand slam?

Oh I clicked on the link and it is only in Cecil’s answer does it state they are from the same team.
Your question and the question at the top of Cecil’s column do not make that rather restrictive stipulation.
So, in terms of answering the OP, I think I have succeeded (in a smart-aleck kind of way).

Not quite as I remembered it, but close:May 27, 2005, Boston at New York

Isn’t that just three hits, not five?

Any type of appeal play will work, provided that it results in no runs scoring. Examples would be batting out of order, failure of the batter to touch first base, or failure of any base runner to touch the next base.

┌──
[1]
Material: RbVBP2HO9
Method: DFT, GGA+U
State: optimized geometry

Unit cell a=8.472 b=9.539 c=9.825 alpha=77.59 beta=90.00 gamma=90.00
Element x y z (fractional)
Rb 0.399 0.811 0.562
Rb 0.101 0.811 0.062
Rb 0.899 0.189 0.938
Rb 0.601 0.189 0.438
V 0.652 0.792 0.935
V 0.848 0.792 0.435
V 0.152 0.208 0.565
V 0.348 0.208 0.065
B 0.057 0.666 0.696
B 0.443 0.666 0.196
B 0.557 0.334 0.804
B 0.943 0.334 0.304
P 0.935 0.925 0.709
P 0.565 0.925 0.209
P 0.740 0.578 0.718
P 0.760 0.578 0.218
P 0.240 0.422 0.782
P 0.260 0.422 0.282
P 0.435 0.075 0.791
P 0.065 0.075 0.291
H 0.084 0.608 0.502
H 0.416 0.608 0.002
H 0.584 0.392 0.998
H 0.916 0.392 0.498
O 0.513 0.927 0.805
O 0.844 0.897 0.848
O 0.833 0.913 0.583
O 0.987 0.927 0.305
O 0.656 0.897 0.348
O 0.074 0.809 0.728
O 0.667 0.913 0.083
O 0.426 0.809 0.228
O 0.630 0.653 0.804
O 0.050 0.690 0.539
O 0.720 0.634 0.561
O 0.917 0.587 0.762
O 0.204 0.588 0.745
O 0.870 0.653 0.304
O 0.450 0.690 0.039
O 0.780 0.634 0.061
O 0.583 0.587 0.262
O 0.296 0.588 0.245
O 0.704 0.412 0.755
O 0.417 0.413 0.738
O 0.220 0.366 0.939
O 0.550 0.310 0.961
O 0.130 0.347 0.696
O 0.796 0.412 0.255
O 0.083 0.413 0.238
O 0.280 0.366 0.439
O 0.950 0.310 0.461
O 0.370 0.347 0.196
O 0.574 0.191 0.772
O 0.333 0.087 0.917
O 0.926 0.191 0.272
O 0.344 0.103 0.652
O 0.013 0.073 0.695
O 0.167 0.087 0.417
O 0.156 0.103 0.152
O 0.487 0.073 0.195



[2]
Material: HfNi5B2O10
Method: DFT, GGA+U
State: optimized geometry

Unit cell a=6.162 b=9.399 c=12.413 alpha=90.00 beta=90.00 gamma=90.00
Element x y z (fractional)
Hf 0.250 0.741 0.116
Hf 0.750 0.759 0.616
Hf 0.250 0.241 0.384
Hf 0.750 0.259 0.884
Ni 0.995 0.001 0.218
Ni 0.750 0.993 0.003
Ni 0.750 0.238 0.386
Ni 0.505 0.001 0.218
Ni 0.005 0.499 0.718
Ni 0.250 0.762 0.614
Ni 0.505 0.501 0.282
Ni 0.995 0.501 0.282
Ni 0.005 0.999 0.782
Ni 0.495 0.499 0.718
Ni 0.495 0.999 0.782
Ni 0.500 0.500 0.000
Ni 0.250 0.262 0.886
Ni 0.250 0.507 0.503
Ni 0.750 0.493 0.497
Ni 0.250 0.007 0.997
Ni 0.000 0.000 0.500
Ni 0.500 0.000 0.500
Ni 0.750 0.738 0.114
Ni 0.000 0.500 0.000
B 0.250 0.277 0.135
B 0.250 0.777 0.365
B 0.750 0.723 0.865
B 0.750 0.223 0.635
B 0.750 0.272 0.144
B 0.250 0.728 0.856
B 0.750 0.772 0.356
B 0.250 0.228 0.644
O 0.494 0.888 0.077
O 0.750 0.149 0.734
O 0.250 0.154 0.545
O 0.750 0.846 0.455
O 0.750 0.848 0.261
O 0.506 0.112 0.923
O 0.250 0.152 0.739
O 0.504 0.897 0.644
O 0.250 0.630 0.361
O 0.250 0.654 0.955
O 0.750 0.370 0.639
O 0.006 0.388 0.423
O 0.750 0.870 0.861
O 0.994 0.112 0.923
O 0.496 0.603 0.144
O 0.506 0.612 0.577
O 0.496 0.103 0.356
O 0.750 0.348 0.239
O 0.996 0.397 0.856
O 0.004 0.103 0.356
O 0.750 0.124 0.144
O 0.750 0.147 0.540
O 0.750 0.346 0.045
O 0.250 0.376 0.644
O 0.250 0.130 0.139
O 0.494 0.388 0.423
O 0.250 0.851 0.266
O 0.006 0.888 0.077
O 0.004 0.603 0.144
O 0.996 0.897 0.644
O 0.750 0.624 0.356
O 0.250 0.353 0.040
O 0.250 0.853 0.460
O 0.504 0.397 0.856
O 0.250 0.876 0.856
O 0.250 0.351 0.234
O 0.994 0.612 0.577
O 0.250 0.652 0.761
O 0.750 0.649 0.766
└──
-- The text goes on --

The illegal bat scenarios get a little more nuanced. You can be called out after the ball becomes dead for using a bat which breaks and reveals cork, and there might be enough time for the next batter to walk up to the plate while the umpires were examining the bat. But that isn’t a true appeal play where the defense waits for play to be resumed before acting.

As RM already pointed out, as described, the fourth and fifth guys reached on a fielder’s choice, which is NOT a hit.

I suppose it’s possible that on a very strange play, the runner from third could be out on a legitimate base hit. Hmm, how about the runner misreads a ball and thinks it will be caught, so stays at third, then trips and falls, breaking his leg so that he’s unable to crawl home before the outfielder gets the ball to the catcher?
Does baseball even have a scoring category for that?

That’s also a fielder’s choice. The more common way to get a hit in that situation without a run scoring is to have a batted ball hit a runner. The runner is out, and nobody can score, but the batter gets a hit. This is how you can have no runs on 6 hits in an inning.

I assume the question by Quercus refers to a ball that went over the fence and the batter is entitled to a home run. If the batter injures himself on his tour of the bases, his team can substitute a pinch runner for him to finish the circuit. As long as someone touches all four bases, it’s a home run.

The only exception is that if people run on the field to make it unsafe to run the bases. Then the umpire can just award the home run and everybody can run for cover. This rule was put in after Chris Chambliss’s harrowing trip around the bases after his series-ending home run in the 1976 ALCS.

For the record, Chambliss eventually went back out and touched all the bases.